This lawsuit is raising questions about the relationship between funds, investors and companies in calling for capital in the market today.
Were the investors cheated?
According to a press release, on 24 October 2019, a group of major investors of Huy Viet Nam Co., Ltd, sued Mr. Huy Nhat, founder and chairman of the company, in the People's Court of Ho Chi Minh City. They represented a group of international private equity funds that had invested in Huy Viet Nam Co. with a total capital of more than USD 70 mn. These included ADV Partners, AIF Capital, F&H Fenghe, Fortress Investments, Gryphus Capital and Welkin Capital.
The legal case filed accused Mr. Huy and his associates, including Ms. Ngo Thi My Hanh, Executive Director of Mon Hue Restaurant Co., Ltd., of violating managerial obligations and responsibilities, unusual and illicit transactions, and possible fraudulent actions by which Mr. Huy Nhat appropriated large amounts of cash and assets. The representative of the group told the press that Mr. Huy Nhat used to present financial reports to them that showed that the business was growing and was highly profitable.
**Records of crystals, as found in the file**
____________
[1]
This record from the Materials Project database describes crystalline MgCu2S4 at its relaxed geometry. The functional is PBE.

a b c (Å): 3.4916 5.2754 6.9001
angles (deg): 73.28 90.00 90.00
Fractional coordinates of all 7 atoms:
Mg: 0.0000 0.4157 0.0705
Cu: 0.5000 0.5318 0.5214
Cu: 0.0000 0.9565 0.9448
S: 0.5000 0.2752 0.8564
S: 0.0000 0.2224 0.4474
S: 0.0000 0.8332 0.6159
S: 0.5000 0.7234 0.1685

Space-group type: No. 6
Polymorph energy (0 for the lowest one): 32 meV per atom
Total magnetization: 0.000 μB/cell


[2]
This record from the Materials Project database describes crystalline Mg2FeH6 at its relaxed geometry. The functional is PBE.

a b c (Å): 4.5380 4.5380 4.5380
angles (deg): 60.00 60.00 60.00
Fractional coordinates of all 9 atoms:
Mg: 0.2500 0.2500 0.2500
Mg: 0.7500 0.7500 0.7500
Fe: 0.0000 0.0000 0.0000
H: 0.7569 0.2431 0.2431
H: 0.7569 0.2431 0.7569
H: 0.7569 0.7569 0.2431
H: 0.2431 0.7569 0.7569
H: 0.2431 0.7569 0.2431
H: 0.2431 0.2431 0.7569

Space-group type: No. 225


[3]
This record from the Materials Project database describes crystalline Ca2SiO4 at its relaxed geometry. The functional is PBE.

a b c (Å): 5.3930 6.9769 9.9051
angles (deg): 87.90 90.00 90.00
Fractional coordinates of all 28 atoms:
Ca: 0.0024 0.7917 0.1577
Ca: 0.9976 0.2083 0.8423
Ca: 0.0000 0.5000 0.5000
Ca: 0.0000 0.0000 0.5000
Ca: 0.5024 0.2083 0.3423
Ca: 0.4976 0.7917 0.6577
Ca: 0.5000 0.5000 0.0000
Ca: 0.5000 0.0000 0.0000
Si: 0.0004 0.2795 0.1717
Si: 0.9996 0.7205 0.8283
Si: 0.4996 0.2795 0.6717
Si: 0.5004 0.7205 0.3283
O: 0.9520 0.2390 0.3366
O: 0.0480 0.7610 0.6634
O: 0.1185 0.5124 0.8718
O: 0.1495 0.8900 0.9077
O: 0.2976 0.2482 0.1324
O: 0.3505 0.8900 0.4077
O: 0.2024 0.2482 0.6324
O: 0.3815 0.5124 0.3718
O: 0.4520 0.7610 0.1634
O: 0.5480 0.2390 0.8366
O: 0.6185 0.4876 0.6282
O: 0.7976 0.7518 0.3676
O: 0.6495 0.1100 0.5923
O: 0.7024 0.7518 0.8676
O: 0.8505 0.1100 0.0923
O: 0.8815 0.4876 0.1282

Space-group type: No. 14
Polymorph energy (0 for the lowest one): 58 meV per atom
Total magnetization: 0.000 μB/cell


[4]
This record from the Materials Project database describes crystalline NaCu2H3S2O10 at its relaxed geometry. The functional is PBE.

a b c (Å): 5.4761 5.4761 7.6837
angles (deg): 66.05 66.05 70.48
Fractional coordinates of all 18 atoms:
Na: 0.5001 0.5001 0.4999
Cu: 0.5029 0.9958 0.9981
Cu: 0.9958 0.5029 0.9981
H: 0.2927 0.2927 0.2233
H: 0.7081 0.7081 0.7791
H: 0.4827 0.4827 0.0083
S: 0.9100 0.9100 0.2993
S: 0.0904 0.0904 0.7003
O: 0.7921 0.7921 0.5156
O: 0.2081 0.2081 0.4838
O: 0.3421 0.3421 0.0745
O: 0.6567 0.6567 0.9275
O: 0.8264 0.2173 0.2427
O: 0.2173 0.8264 0.2427
O: 0.1741 0.7832 0.7570
O: 0.7832 0.1741 0.7570
O: 0.8082 0.8082 0.1934
O: 0.1921 0.1921 0.8062

Space-group type: No. 8
Total magnetization: 2.000 μB/cell


[5]
This record from the Materials Project database describes crystalline MgHN at its relaxed geometry. The functional is PBE.

a b c (Å): 11.6070 11.6070 3.7150
angles (deg): 90.00 90.00 120.00
____________
Were these experienced investors easily fooled by Mr. Huy Nhat with his “neat looking” financial statement reports? Were these investors so subjective and so completely confident in this founder that they felt there was no need to take control of the business situation? Or, in terms of pouring capital, did Huy Nhat persuade the investors to give him much more power and authority? All these questions can only be answered by insiders. From the perspective of the outsider, however, experts have their own analysis and theory.
Talking with Saigon Investment, economist Ly Truong Chien said that maybe the funds had totally neglected corporate governance. In principle, investment funds are very tight, but in the process of operating, they are loosely managed. This is because they have so much confidence in the boss of the company they invest in. Even in some cases, when there are many funds involved, one fund can think that the other is managing it. “People often die because of subjectivity, not because of lack of knowledge. Even in developed countries, it is impossible to avoid such scams”, said Chien. However, Chien acknowledges that because he is not an insider, he does not have all the data and information to know whether the lawsuit will bring the expected fair results or not.
From another viewpoint, expert Doan Dinh Hoang, who has extensive experience in developing the F&B segment, said that the closure or bankruptcy of a chain is because of exhaustion of money to pay for the dues. Some people think that with such a huge investment of upto USD 70 mn, how can Huy Viet Nam be unable to pay, and believe maybe Huy Nhat is a cheater. However, we cannot verify this information. Even the news that Huy Viet Nam has raised capital of upto USD 70 mn is still uncertain. The most common news in the press is that Huy Viet Nam had two rounds of funding of USD 30 mn, equivalent to VND 650 bn in total, and this is only the declared capital.
“With the expansion of nearly 200 stores across the country, they had to invest correspondingly in factories, machines, and management technology. If the revenue cannot compensate the cost, the figure of USD 30 mn (if real) could also go out quickly, not because of bad corporate governance. Even if the ‘old wolves’ say that they cannot control management or have being fooled, it surely is an unbelievable story, because they were ‘born’ to deal in money", said Hoang.
Also from his expert perspective, before the chain closed, Huy Viet Nam reduced its charter capital from VND 1,200 bn to VND 600 bn. Maybe this is the result of capital withdrawal by investment funds who found that there was some instability in the enterprise management. Of course, now that the lawsuit has been filed, the authorities will conduct an investigation and many issues will be revealed in the near future.
Calling for capital is not a gameshow
In recent years, a number of Vietnamese startups have gained popularity through millions of dollars of funding, and now even Vietnam is becoming a favorite destination for many regional and global investment fund managers.
According to statistics, in the past three years, the investment capital in Vietnamese startups has increased rapidly. In 2018, the investment capital for startups was USD 889 mn, three times more than in 2017 and five times higher than in 2016. At the Vietnam Creative Investment Fund Forum in early June, there were many remarkable investment commitments from investment funds. Even the director of a Japanese investment fund in Vietnam said that the investment amount in Vietnamese startups now is higher than normal. That is good news, but behind the published numbers, how much capital the startups actually get is something no one knows, except the insiders.
(Records of crystals that have nothing to do with the entry)
- - -
Crystalline SrHf2Mo at its relaxed geometry. Source: Materials Project, functional GGA-PBE.

Values from the calculation:
magnetization	0.7	μB per cell
space group	F-43m, No. 216
energy of formation	857.6	meV/atom
raw total energy	-7.25	eV/atom
calculated density	9.70	g/cm³

Geometry as POSCAR:
```
SrHf2Mo
1.0
0.0000 3.5898 3.5898
3.5898 0.0000 3.5898
3.5898 3.5898 0.0000
Sr Hf Mo
1 2 1
direct
0.0000 0.0000 0.0000
0.2500 0.2500 0.2500
0.5000 0.5000 0.5000
0.7500 0.7500 0.7500
```

Crystalline La15CuGe9 at its relaxed geometry. Source: Materials Project, functional GGA-PBE.

Values from the calculation:
magnetization	3.6	μB per cell
space group	P6_3mc, No. 186
energy of formation	-659.0	meV/atom
raw total energy	-5.45	eV/atom
calculated density	6.28	g/cm³

Geometry as POSCAR:
```
La15CuGe9
1.0
15.7313 0.0000 0.0000
-7.8656 13.6237 0.0000
0.0000 0.0000 6.9116
La Cu Ge
30 2 18
direct
0.0186 0.3408 0.0000
0.0186 0.6778 0.0000
0.0831 0.1662 0.2798
0.0831 0.9169 0.2798
0.1574 0.5787 0.2479
0.1662 0.0831 0.7798
0.2455 0.4909 0.7296
0.2455 0.7545 0.7296
0.3222 0.3408 0.0000
0.3222 0.9814 0.0000
0.3408 0.0186 0.5000
0.3408 0.3222 0.5000
0.4213 0.5787 0.2479
0.4213 0.8426 0.2479
0.4909 0.2455 0.2296
0.5091 0.7545 0.7296
0.5787 0.1574 0.7479
0.5787 0.4213 0.7479
0.6592 0.6778 0.0000
0.6592 0.9814 0.0000
0.6778 0.0186 0.5000
0.6778 0.6592 0.5000
0.7545 0.2455 0.2296
0.7545 0.5091 0.2296
0.8338 0.9169 0.2798
0.8426 0.4213 0.7479
0.9169 0.0831 0.7798
0.9169 0.8338 0.7798
0.9814 0.3222 0.5000
0.9814 0.6592 0.5000
0.3333 0.6667 0.4857
0.6667 0.3333 0.9857
0.0736 0.5368 0.7293
0.1295 0.2591 0.7234
0.1295 0.8705 0.7234
0.2018 0.4036 0.2861
0.2018 0.7982 0.2861
0.2591 0.1295 0.2234
0.4036 0.2018 0.7861
0.4632 0.5368 0.7293
0.4632 0.9264 0.7293
0.5368 0.0736 0.2293
0.5368 0.4632 0.2293
0.5964 0.7982 0.2861
0.7409 0.8705 0.7234
0.7982 0.2018 0.7861
0.7982 0.5964 0.7861
0.8705 0.1295 0.2234
0.8705 0.7409 0.2234
0.9264 0.4632 0.2293
```

Crystalline Ta4Be at its relaxed geometry. Source: Materials Project, functional GGA-PBE.

Values from the calculation:
magnetization	0.3	μB per cell
space group	Fd-3m, No. 227
energy of formation	1085.1	meV/atom
raw total energy	-9.15	eV/atom
calculated density	13.22	g/cm³

Geometry as POSCAR:
```
Ta4Be
1.0
0.0000 4.5153 4.5153
4.5153 0.0000 4.5153
4.5153 4.5153 0.0000
Ta Be
8 2
direct
0.2074 0.7642 0.7642
0.2358 0.2358 0.2358
0.2358 0.2358 0.7926
0.2358 0.7926 0.2358
0.7642 0.2074 0.7642
0.7642 0.7642 0.2074
0.7642 0.7642 0.7642
0.7926 0.2358 0.2358
0.3750 0.3750 0.3750
0.6250 0.6250 0.6250
```

Question: Which value of energy of formation does entry 2 give?
Answer: -659.0 meV/atom

Question: Which formula does entry 2 have?
Answer: La15CuGe9

Question: Which of these has the highest raw total energy?
Answer: La15CuGe9

Question: Look up the raw total energy of the third one.
Answer: -9.15 eV/atom


1.
Crystalline Dy3Ni7B2 at its relaxed geometry. Source: Materials Project, functional PBE.

Computed properties:
- - -
(End of the records of crystals)
That is not to mention the capital raising journey is also very arduous, because the nature of the investment fund is always the key to making the rules of the game, and providing rigorous appraisal procedures to ensure the safety of capital flow. That is also the reason that in most seminars, there is always the question of what factors will the fund/investor rely on to decide before pouring in capital. Of course, in order to make an investment decision, it will have to go through many more rigorous evaluations because "money is attached to the gut", and no one is foolish enough to throw it out of the window. That is why many funds have their own people in the executive chair to control company operations.
## These data records were left in the text by mistake
Record 1
{
  "formula": "Na3NiPCO7",
  "functional": "PBE with a Hubbard U",
  "state": "relaxed",
  "vol_a3_per_cell": 621.2,
  "polymorph_energy_mev_per_atom": 21,
  "m_tot_mub_per_fu": 0.0,
  "formation_energy_mev_per_atom": -2206,
  "lattice": [[-1.925, -3.639, 7.391], [6.679, 2.093, 4.753], [-4.255, 7.333, 2.599]],
  "species": ["Na", "Na", "Na", "Na", "Na", "Na", "Na", "Na", "Na", "Na", "Na", "Na", "Ni", "Ni", "Ni", "Ni", "P", "P", "P", "P", "C", "C", "C", "C", "O", "O", "O", "O", "O", "O", "O", "O", "O", "O", "O", "O", "O", "O", "O", "O", "O", "O", "O", "O", "O", "O", "O", "O", "O", "O", "O", "O"],
  "frac_coords": [[0.244, 0.242, 0.001], [0.744, 0.742, 0.001], [0.992, 0.994, 0.999], [0.492, 0.494, 0.999], [0.334, 0.895, 0.162], [0.834, 0.395, 0.162], [0.645, 0.083, 0.838], [0.145, 0.584, 0.838], [0.494, 0.995, 0.498], [0.994, 0.495, 0.498], [0.746, 0.243, 0.502], [0.245, 0.744, 0.502], [0.892, 0.845, 0.287], [0.095, 0.142, 0.713], [0.392, 0.345, 0.287], [0.595, 0.642, 0.713], [0.609, 0.628, 0.347], [0.109, 0.128, 0.347], [0.378, 0.359, 0.653], [0.878, 0.859, 0.653], [0.618, 0.119, 0.164], [0.118, 0.619, 0.164], [0.369, 0.868, 0.836], [0.869, 0.368, 0.836], [0.530, 0.207, 0.062], [0.030, 0.707, 0.062], [0.457, 0.780, 0.938], [0.957, 0.280, 0.938], [0.735, 0.000, 0.122], [0.235, 0.500, 0.122], [0.250, 0.985, 0.878], [0.750, 0.485, 0.878], [0.062, 0.987, 0.253], [0.561, 0.487, 0.252], [0.737, 0.812, 0.747], [0.237, 0.312, 0.748], [0.253, 0.172, 0.254], [0.753, 0.672, 0.254], [0.922, 0.003, 0.746], [0.422, 0.503, 0.746], [0.588, 0.153, 0.305], [0.088, 0.653, 0.305], [0.403, 0.838, 0.695], [0.903, 0.338, 0.695], [0.466, 0.773, 0.359], [0.966, 0.273, 0.359], [0.523, 0.216, 0.641], [0.023, 0.716, 0.641], [0.171, 0.064, 0.504], [0.671, 0.564, 0.504], [0.814, 0.921, 0.496], [0.314, 0.421, 0.496]]
}

Record 2
{
  "formula": "Na5Ni2P2C2O14",
  "functional": "PBE with a Hubbard U",
  "state": "relaxed",
  "vol_a3_per_cell": 616.5,
  "polymorph_energy_mev_per_atom": 9,
  "m_tot_mub_per_fu": 3.0,
  "sg": "P1 (1)",
  "formation_energy_mev_per_atom": -2153,
  "lattice": [[5.251, 0.000, 0.000], [0.298, 8.877, 0.000], [0.006, 0.031, 13.226]],
  "species": ["Na", "Na", "Na", "Na", "Na", "Na", "Na", "Na", "Na", "Na", "Ni", "Ni", "Ni", "Ni", "P", "P", "P", "P", "C", "C", "C", "C", "O", "O", "O", "O", "O", "O", "O", "O", "O", "O", "O", "O", "O", "O", "O", "O", "O", "O", "O", "O", "O", "O", "O", "O", "O", "O", "O", "O"],
In ‘Shark Tank’, a popular TV program on the startup industry, at first instance the sharks easily give out money. With some startups, the sharks even compete to invest. But what is behind this small screen, and how much money do the startups really get from the sharks is not clear.
Many people say that it is actually just a gameshow, where startups have the opportunity to be more communicative when participating in the game, and can receive valuable advice from the sharks for their business projects. But when joining the game, the sharks’ purpose is not to find a place to invest. They cannot make an investment after just a few minutes of hearing the strategies and business plans of any startup businesses. It is possible that the sharks sit there to promote, affirm their brand, their businesses and seek opportunities from startups.
Investors cannot always control all situations, and there are cases when they have had to swallow bitter fruit when businesses receive capital but do not use it as per commitment. With a potentially lucrative market like Vietnam, the relationship between investors and enterprises calling for capital will still be the subject of much public debate in the future.